Material >
........
*P*
This record from Alexandria via LeMat-Bulk describes a relaxed structure of Ac3La4Pr2. The functional is PBE. Values from VASP.

Quantum ESPRESSO input file:
```
&SYSTEM
  ibrav = 0, nat = 9, ntyp = 3
/
ATOMIC_SPECIES
Ac 227.00 Ac.upf
La 138.91 La.upf
Pr 140.91 Pr.upf
ATOMIC_POSITIONS angstrom
Ac 2.692 0.325 6.000
Ac 0.000 4.945 2.182
Ac 0.000 0.000 0.000
La 2.692 2.457 1.113
La 2.692 3.872 4.643
La 0.000 2.813 7.069
La 0.000 1.398 3.539
Pr 0.000 -2.159 4.935
Pr 2.692 7.429 3.247
CELL_PARAMETERS angstrom
5.384 0.000 0.000
0.000 8.524 0.754
-2.692 -3.254 7.428
```


*Q*
This record from Alexandria via LeMat-Bulk describes a relaxed structure of Ac3La4Pr2. The functional is PBE. Values from VASP.

Quantum ESPRESSO input file:
```
&SYSTEM
  ibrav = 0, nat = 18, ntyp = 3
/
ATOMIC_SPECIES
Ac 227.00 Ac.upf
La 138.91 La.upf
Pr 140.91 Pr.upf
ATOMIC_POSITIONS angstrom
Ac -2.497 2.066 14.561
Ac -0.997 -2.167 3.738
Ac -4.990 -3.485 3.576
Ac -6.490 0.747 14.398
Ac -3.945 1.234 8.343
Ac -3.542 -2.654 9.794
La -7.356 1.168 6.919
La -9.351 -0.853 9.136
La -0.131 -2.588 11.217
La 1.864 -0.567 9.000
La -1.683 0.545 11.197
La -1.177 -1.015 7.334
La -5.804 -1.965 6.940
La -6.310 -0.404 10.802
Pr -3.757 -1.430 13.397
Pr -2.796 -4.189 6.386
Pr -3.730 0.010 4.740
Pr -4.691 2.769 11.750
CELL_PARAMETERS angstrom
-3.540 -5.237 1.308
3.156 -1.089 10.297
-7.103 4.906 6.531
```


Energy relative to the most stable one, in eV/atom: *P* 0.000; *Q* 0.060


[1]
First-principles (SCAN) data for a PBEsol-optimized structure of TcHgOs2, as listed in Alexandria.

Values from the calculation:
Its space group is C2/m, No. 12. As for the total energy: -243.11 eV/cell. For the total moment, the calculation gives 0.00 μB per atom. As for the density of states at the Fermi level: 4.79 states/eV per cell.

```
data_TcHgOs2
_cell_length_a 5.388
_cell_length_b 5.388
_cell_length_c 2.743
_cell_angle_alpha 104.45
_cell_angle_beta 104.45
_cell_angle_gamma 117.91
_symmetry_space_group_name_H-M 'P 1'
_symmetry_Int_Tables_number 1
loop_
_symmetry_equiv_pos_as_xyz
'x,y,z'
loop_
_atom_site_label
_atom_site_type_symbol
_atom_site_fract_x
_atom_site_fract_y
_atom_site_fract_z
_atom_site_occupancy
Tc1 Tc 0.000 0.000 0.000 1
Hg1 Hg 0.500 0.500 0.000 1
Os1 Os 0.000 0.500 0.500 1
Os2 Os 0.500 0.000 0.500 1
```

[2]
First-principles (SCAN) data for a PBEsol-optimized structure of SrSiNi2, as listed in Alexandria.

Values from the calculation:
Its space group is R3m, No. 160. For the total moment, the calculation gives 0.00 μB per atom. The uncorrected formation energy comes out at -396 meV per atom. As for the density of states at the Fermi level: 2.39 states/eV per cell.

```
data_SrSiNi2
_cell_length_a 5.857
_cell_length_b 5.857
_cell_length_c 5.857
_cell_angle_alpha 39.59
_cell_angle_beta 39.59
_cell_angle_gamma 39.59
_symmetry_space_group_name_H-M 'P 1'
_symmetry_Int_Tables_number 1
loop_
_symmetry_equiv_pos_as_xyz
'x,y,z'
loop_
_atom_site_label
_atom_site_type_symbol
_atom_site_fract_x
_atom_site_fract_y
_atom_site_fract_z
_atom_site_occupancy
Sr1 Sr 0.000 0.000 0.000 1
Si1 Si 0.813 0.813 0.813 1
Ni1 Ni 0.186 0.186 0.186 1
Ni2 Ni 0.476 0.476 0.476 1
```

[3]
First-principles (SCAN) data for a PBEsol-optimized structure of ZrSCl6O, as listed in Alexandria.

Values from the calculation:
Its space group is P2_1/c, No. 14. For the total moment, the calculation gives 0.00 μB per atom. The uncorrected formation energy comes out at -1410 meV per atom. As for the density of states at the Fermi level: 0.00 states/eV per cell.

```
data_ZrSCl6O
_cell_length_a 7.033
_cell_length_b 24.091
_cell_length_c 6.871
_cell_angle_alpha 90.00
_cell_angle_beta 116.48
_cell_angle_gamma 90.00
_symmetry_space_group_name_H-M 'P 1'
_symmetry_Int_Tables_number 1
loop_
_symmetry_equiv_pos_as_xyz
'x,y,z'
loop_
_atom_site_label
_atom_site_type_symbol
_atom_site_fract_x
_atom_site_fract_y
_atom_site_fract_z
_atom_site_occupancy
Zr1 Zr 0.156 0.070 0.012 1
Zr2 Zr 0.156 0.430 0.512 1
Zr3 Zr 0.844 0.570 0.488 1
........

Activity >
It remains to print the lines above from the one with "-3.542 -2.654" to the one with "SrSiNi2, as" unchanged.

Written answer >
Ac -3.542 -2.654 9.794
La -7.356 1.168 6.919
La -9.351 -0.853 9.136
La -0.131 -2.588 11.217
La 1.864 -0.567 9.000
La -1.683 0.545 11.197
La -1.177 -1.015 7.334
La -5.804 -1.965 6.940
La -6.310 -0.404 10.802
Pr -3.757 -1.430 13.397
Pr -2.796 -4.189 6.386
Pr -3.730 0.010 4.740
Pr -4.691 2.769 11.750
CELL_PARAMETERS angstrom
-3.540 -5.237 1.308
3.156 -1.089 10.297
-7.103 4.906 6.531
```


Energy relative to the most stable one, in eV/atom: *P* 0.000; *Q* 0.060


[1]
First-principles (SCAN) data for a PBEsol-optimized structure of TcHgOs2, as listed in Alexandria.

Values from the calculation:
Its space group is C2/m, No. 12. As for the total energy: -243.11 eV/cell. For the total moment, the calculation gives 0.00 μB per atom. As for the density of states at the Fermi level: 4.79 states/eV per cell.

```
data_TcHgOs2
_cell_length_a 5.388
_cell_length_b 5.388
_cell_length_c 2.743
_cell_angle_alpha 104.45
_cell_angle_beta 104.45
_cell_angle_gamma 117.91
_symmetry_space_group_name_H-M 'P 1'
_symmetry_Int_Tables_number 1
loop_
_symmetry_equiv_pos_as_xyz
'x,y,z'
loop_
_atom_site_label
_atom_site_type_symbol
_atom_site_fract_x
_atom_site_fract_y
_atom_site_fract_z
_atom_site_occupancy
Tc1 Tc 0.000 0.000 0.000 1
Hg1 Hg 0.500 0.500 0.000 1
Os1 Os 0.000 0.500 0.500 1
Os2 Os 0.500 0.000 0.500 1
```

[2]
First-principles (SCAN) data for a PBEsol-optimized structure of SrSiNi2, as listed in Alexandria.